Material =
=====
1.
Below is a molecular structure, C33H59MgN2O2P2, with properties calculated with wB97M-V/def2-TZVPD.

XYZ file:
```
99
Properties=species:S:1:pos:R:3
C -0.71966 -2.26373 -1.39963
C 1.44836 -2.04604 -0.51187
C -0.34198 -3.37279 -2.15457
C 1.82101 -3.26562 -1.13321
C 0.93415 -3.91226 -1.97082
H -1.07278 -3.80709 -2.82924
H 2.83306 -3.62341 -0.96242
H 1.21876 -4.82917 -2.48005
N 0.13658 -1.63838 -0.58217
P -2.69397 -0.84931 0.01693
P 2.68355 0.46519 0.38678
C -2.15119 -1.72445 -1.51807
H -2.18335 -1.03442 -2.37593
H -2.84344 -2.54308 -1.76871
C 0.92473 2.11119 1.30128
O 1.03922 3.24818 1.50166
C 2.44837 -1.26184 0.16723
H 3.31232 -1.86283 0.47846
C 3.48008 1.09809 -1.25509
C 3.89697 0.61023 1.84574
C -3.91721 0.54170 -0.47764
C -3.49138 -2.30033 0.93885
C 3.04120 2.56608 -1.38826
H 3.36355 3.18440 -0.53835
H 3.48090 2.99594 -2.30358
H 1.94738 2.63055 -1.47084
C 5.00373 0.96374 -1.28552
H 5.50783 1.57490 -0.52907
H 5.31126 -0.08523 -1.18365
H 5.36192 1.31058 -2.26806
C 2.92384 0.27533 -2.42402
H 3.33218 0.66637 -3.37021
H 3.21179 -0.78123 -2.34484
H 1.83013 0.33618 -2.47741
C 4.29266 2.09066 2.00973
H 3.41845 2.74189 2.12563
H 4.90088 2.17517 2.92267
H 4.90194 2.45997 1.17474
C 3.16177 0.14096 3.11202
H 2.22158 0.68079 3.28220
H 2.95238 -0.93626 3.07541
H 3.81625 0.32142 3.98017
C 5.15724 -0.25241 1.70954
H 5.78458 0.02641 0.85988
H 5.75792 -0.10177 2.61894
H 4.92217 -1.31974 1.64274
C -3.80957 -1.81806 2.36577
H -4.24653 -2.65614 2.92871
H -2.89709 -1.49318 2.88738
H -4.53072 -0.99018 2.38295
C -2.47837 -3.45503 1.02121
H -2.35737 -3.97187 0.06046
H -1.49223 -3.11628 1.36230
H -2.84686 -4.19194 1.75051
C -4.75547 -2.82455 0.23798
H -4.96725 -3.83105 0.62930
H -5.63625 -2.21017 0.44980
H -4.63367 -2.91747 -0.84921
C -3.84697 0.74702 -1.99246
H -4.17893 -0.14056 -2.54965
H -4.51145 1.57995 -2.27072
H -2.83002 1.01227 -2.30507
C -3.43777 1.82618 0.23560
H -2.43986 2.13710 -0.10530
H -4.14595 2.63705 0.00647
H -3.40903 1.69317 1.32824
C -5.37163 0.27038 -0.08027
H -5.80611 -0.55751 -0.65455
H -5.48825 0.08909 0.99633
H -5.95464 1.17316 -0.32342
Mg -0.15224 0.10667 0.61706
N -0.34712 1.16744 -1.10826
C -0.03629 1.61697 -2.14556
C -0.13151 2.51055 -3.38297
C 0.95861 2.16250 -4.38812
C -1.48569 2.30670 -4.05443
C -0.01769 3.97043 -2.95019
H 1.95742 2.34774 -3.97658
H 0.88312 1.10955 -4.68647
H 0.83770 2.78657 -5.28592
H -2.29382 2.65468 -3.40011
H -1.55119 2.88850 -4.98543
H -1.63978 1.24982 -4.30490
H -0.05887 4.62738 -3.83014
H -0.85497 4.23457 -2.29086
H 0.92011 4.16896 -2.42144
C -0.30464 -0.17903 4.96408
C -0.11926 -1.67242 4.67732
C 0.15557 -1.78591 3.18646
O -0.27811 -0.50238 2.58603
C -0.71510 0.44890 3.63963
H -1.05335 0.00883 5.73646
H 0.63938 0.26593 5.30031
H -1.04255 -2.21733 4.91051
H 0.68534 -2.12157 5.26478
H 1.21899 -1.93022 2.95800
H -0.41343 -2.59272 2.71472
H -1.80580 0.54961 3.55215
H -0.24856 1.42339 3.44411
```

- Spin multiplicity: 1
- DFT total energy: -66271.9566 eV
- HOMO energy: -0.317 Eh
- Charge: +1
- Molecular weight: 602.10 g mol⁻¹

These are the Mulliken partial charges, in e, on atoms 1 to 6:
1 C -0.34
2 C 0.35
3 C -0.90
4 C -0.77
5 C -0.99
6 H 0.55

=====

2.
Below is a molecular structure, C33H59N2O2P2Pt, with properties calculated with wB97M-V/def2-TZVPD.

XYZ file:
```
99
Properties=species:S:1:pos:R:3
C 1.68756 -1.11444 -2.23251
C -0.40343 -0.19773 -2.89013
C 2.07711 -1.26639 -3.56358
C 0.00296 -0.25297 -4.24302
C 1.22913 -0.80296 -4.57292
H 3.03930 -1.73000 -3.76955
H -0.69368 0.12282 -4.99301
H 1.52845 -0.89453 -5.61486
N 0.52490 -0.53526 -1.92555
P 1.97205 -1.12933 0.57361
P -2.01912 0.76565 -0.80114
C 2.54682 -1.66614 -1.10920
H 2.54167 -2.76846 -1.17108
H 3.59543 -1.37518 -1.26337
C -0.30153 0.39206 1.79731
O -0.37154 0.90229 2.84126
C -1.70140 0.13254 -2.44690
H -2.40153 0.46795 -3.21183
C -3.88180 0.41499 -0.51579
C -1.74099 2.64155 -0.58196
C 2.02886 -2.67543 1.63422
C 3.36729 0.08150 1.02529
C -3.97403 -0.25383 0.86833
H -3.52581 0.36890 1.65146
H -5.03263 -0.39455 1.13030
=====
Job =
What is needed: copy the listing above from the line with "-4.57292" to the end without altering anything.
Solution =
C 1.22913 -0.80296 -4.57292
H 3.03930 -1.73000 -3.76955
H -0.69368 0.12282 -4.99301
H 1.52845 -0.89453 -5.61486
N 0.52490 -0.53526 -1.92555
P 1.97205 -1.12933 0.57361
P -2.01912 0.76565 -0.80114
C 2.54682 -1.66614 -1.10920
H 2.54167 -2.76846 -1.17108
H 3.59543 -1.37518 -1.26337
C -0.30153 0.39206 1.79731
O -0.37154 0.90229 2.84126
C -1.70140 0.13254 -2.44690
H -2.40153 0.46795 -3.21183
C -3.88180 0.41499 -0.51579
C -1.74099 2.64155 -0.58196
C 2.02886 -2.67543 1.63422
C 3.36729 0.08150 1.02529
C -3.97403 -0.25383 0.86833
H -3.52581 0.36890 1.65146
H -5.03263 -0.39455 1.13030